It remains to say how many lines of the data below hold the word "KMo2Ru", as a bare number.

<<<
Entry from the Alexandria database: a geometry-optimized KMo2Ru structure (PBE).

a = 2.793 Å, b = 2.793 Å, c = 10.082 Å
α = 90.00°, β = 90.00°, γ = 90.00°
Positions (direct):
K 0.500 0.500 0.750
Mo 0.000 0.000 0.067
Mo 0.000 0.000 0.433
Ru 0.500 0.500 0.250

Properties
theoretical density = 7.0 g cm⁻³
formation energy = 821.1 meV per atom
excess energy over the best structure of this formula in the dataset = 92 meV/atom
calculated total energy = -7.1878 eV per atom
symmetry = P4/mmm, No. 123


Entry from the Alexandria database: a geometry-optimized NdDy2Tm7 structure (PBE).

a = 5.484 Å, b = 9.189 Å, c = 9.189 Å
α = 123.88°, β = 90.00°, γ = 90.00°
Positions (direct):
Nd 0.000 0.000 0.000
Dy 0.500 0.702 0.298
Dy 0.500 0.298 0.702
Tm 0.000 0.790 0.210
Tm 0.000 0.210 0.790
Tm 0.500 0.062 0.291
Tm 0.500 0.938 0.709
Tm 0.500 0.291 0.062
Tm 0.500 0.709 0.938
Tm 0.500 0.500 0.500

Properties
theoretical density = 7.1 g cm⁻³
formation energy = 716.2 meV per atom
excess energy over the best structure of this formula in the dataset = 668 meV/atom
calculated total energy = -3.8111 eV per atom
symmetry = Cmmm, No. 65

=====

# ScPbN2O (PBE-GGA, relaxed)
data_ScPbN2O
_space_group_name_H-M_alt 'P 4/m m m'
_space_group_IT_number 123
_space_group_name_Hall '-P 4 2'
_cell_length_a 4.217
_cell_length_b 4.217
_cell_length_c 4.215
_cell_angle_alpha 90.00
_cell_angle_beta 90.00
_cell_angle_gamma 90.00
loop_
_atom_site_label
_atom_site_fract_x
_atom_site_fract_y
_atom_site_fract_z
_atom_site_occupancy
Sc1 0.000 0.000 0.000 1
Pb1 0.500 0.500 0.500 1
N1 0.000 0.500 0.500 1
O1 0.500 0.500 0.000 1
# formation energy (no corrections): 0.530 eV/atom


# CdHgSb3 (PBE-GGA, relaxed)
data_CdHgSb3
_space_group_name_H-M_alt 'P m -3 m'
_space_group_IT_number 221
_space_group_name_Hall '-P 4 2 3'
_cell_length_a 5.576
_cell_length_b 5.576
_cell_length_c 5.576
_cell_angle_alpha 90.00
_cell_angle_beta 90.00
_cell_angle_gamma 90.00
loop_
_atom_site_label
_atom_site_fract_x
_atom_site_fract_y
_atom_site_fract_z
_atom_site_occupancy
Cd1 0.000 0.000 0.000 1
Hg1 0.500 0.500 0.500 1
Sb1 0.000 0.000 0.500 1
# E above lowest polymorph: 0.00 eV/f.u.
# formation energy (no corrections): 0.726 eV/atom


# Ba2NiAgN (PBE-GGA, relaxed)
data_Ba2NiAgN
_space_group_name_H-M_alt 'P 4/m m m'
_space_group_IT_number 123
_space_group_name_Hall '-P 4 2'
_cell_length_a 6.117
_cell_length_b 6.117
_cell_length_c 3.940
_cell_angle_alpha 90.00
_cell_angle_beta 90.00
_cell_angle_gamma 90.00
loop_
_atom_site_label
_atom_site_fract_x
_atom_site_fract_y
_atom_site_fract_z
_atom_site_occupancy
Ba1 0.000 0.500 0.000 1
Ni1 0.000 0.000 0.500 1
Ag1 0.500 0.500 0.000 1
N1 0.500 0.500 0.500 1
# E above lowest polymorph: 4.60 eV/f.u.
# formation energy (no corrections): 0.573 eV/atom


# Ta2Zn2Rh3 (PBE-GGA, relaxed)
data_Ta2Zn2Rh3
_space_group_name_H-M_alt 'P -1'
_space_group_IT_number 2
_space_group_name_Hall '-P 1'
_cell_length_a 4.431
_cell_length_b 4.431
_cell_length_c 7.253
_cell_angle_alpha 89.96
_cell_angle_beta 72.25
_cell_angle_gamma 60.09
loop_
_atom_site_label
_atom_site_fract_x
_atom_site_fract_y
_atom_site_fract_z
_atom_site_occupancy
Ta1 0.226 0.388 0.162 1
Zn1 0.262 0.869 0.605 1
Rh1 0.000 0.000 0.000 1
Rh2 0.481 0.259 0.777 1
# energy of formation from the pure elements: -2.534 eV per formula unit


# Tb2SmPd3 (PBE-GGA, relaxed)
data_Tb2SmPd3
_space_group_name_H-M_alt 'C m m m'
_space_group_IT_number 65
_space_group_name_Hall '-C 2 2'
_cell_length_a 5.061
_cell_length_b 15.215
_cell_length_c 3.461
_cell_angle_alpha 90.00
_cell_angle_beta 90.00
_cell_angle_gamma 90.00
loop_
_atom_site_label
_atom_site_fract_x
_atom_site_fract_y
_atom_site_fract_z
_atom_site_occupancy
Tb1 0.000 0.167 0.000 1
Sm1 0.000 0.500 0.000 1
Pd1 0.000 0.000 0.500 1
Pd2 0.000 0.329 0.500 1
# energy of formation from the pure elements: -5.054 eV per formula unit


# NaWSN2 (PBE-GGA, relaxed)
data_NaWSN2
_space_group_name_H-M_alt 'P 4/m m m'
_space_group_IT_number 123
_space_group_name_Hall '-P 4 2'
>>>

1